Mullah Morality: Tales (Tails?) of Binx and
Gerald A. Honigman
For the record, Iranians and Jews were not always enemies.
There are literally thousands of years of history which tie these peoples
together. The Book of Esther in the Hebrew Bible (which the Jewish holiday of
Purim is based upon) gets into some of this complex relationship, but there are
other sources--Iranian included--as well.
While there were ups and downs throughout the millennia (easy to explore these
days via the Internet), a few examples are in order...especially given the
current poisoned atmosphere in which a would-be nuclear Iran declares that
Israel has no right to exist, openly admits that the Jew of the Nations is its
primary target, and sponsors organizations like Hizbullah and Hamas which share
its goals.
After the Jews were taken into Babylonian captivity by Nebochadnezzar, it was
Cyrus the Great of Iran ("Persia") who allowed their return in 539
B.C.E. to the very land which the mullahs claim that they have no rights to
today. Indeed, the fate of the Jews in Iran itself frequently--especially in the
Islamic age after the 7th century C.E--often depended upon a balance of power
between the ruling Shah and the religious establishment. This would get modern
Israel in trouble as well, as it had close relations with the Pahlavi dynasty.
Returning to Cyrus for a moment, take a look at this ancient quote from an
Iranian source, The Kurash Prism, courtesy of the Iran Chamber Society and other
historical sites...
I am Kurash [ "Cyrus" ], King of the World, Great King,
Legitimate King, King of Babilani, King of Kiengir and Akkade, King of the
four rims of the earth, Son of Kanbujiya...I returned to these sacred cities
on the other side of the Tigris the sanctuaries of which have been ruins for a
long time, the images which used to live therein and established for them
permanent sanctuaries. I also gathered all their former inhabitants and
returned them to their habitations. Furthermore, I resettled upon the command
of Marduk, the great lord, all the gods of Kiengir and Akkade whom Nabonidus
had brought into Babilani to the anger of the lord of the gods, unharmed, in
their former temples, the places which make them happy.
Now, here's the Jews' own version of this in Ezra 1: 1-8 in the Hebrew
In the first year of Cyrus, king of Persia, in order to fulfill the word of
the Lord spoken by Jeremiah, the Lord inspired King Cyrus of Persia to issue
this proclamation throughout his kingdom, both by word of mouth and in
writing: "Thus says Cyrus, king of Persia: "All the kingdoms of the
earth the Lord, the God of heaven, has given to me, and he has also charged me
to build him a house in Jerusalem, which is in Judah. Whoever, therefore,
among you belongs to any part of his people, let him go up, and may his God be
with him! Let everyone who has survived, in whatever place he may have dwelt,
be assisted by the people of that place with silver, gold, and goods, together
with free will offerings for the house of God in Jerusalem.'
When Cyrus died, he was succeeded by his son Cambyses (Kanbujiya) II, who
stationed Jewish/Judean warriors at one of his three main fortresses,
Elephantine, used to control Persian-conquered Egypt.
When the Jews took on the next would-be conqueror of the world, Rome, for their
freedom and independence in the first and second centuries of the common era
(costly wars, well-documented by the Roman historians themselves, which would
eventually lead the Emperor Hadrian to rename Judaea, Syria Palaestina, after
the Jews' historic enemies, the Philistines--a non-Semitic sea people from the
Aegean or Eastern Mediterranean--in an attempt to stamp out Jewish hopes once
and for all), support once again came from the Iranian East. And later, as
Iranian armies were fighting the hated Byzantines on the eve of the rise of
Muhammad and the Arab empires, tens of thousands of Jewish warriors were
recorded as joining the fight.
So, given the above and much, much more of the story here untold, the murderous
animosity which now dictates Iranian foreign policy towards Israel is indeed
tragic. Yet, also given the above, there may be reason to hope that things will
one day again change for the better. Remember, for example, the 10-year war not
that long ago between Iranians and Iraqi Arabs. Such events have implications
for regional politics and alliances...whether in Cyrus' day or today.
Coming out of the realm of dreams, however, we're currently faced with the harsh
reality of an oil-enriched, powerful, mullah-dominated Iranian society in which
Israel is constantly demonized.
Even among the opposition and enlightened youth, hypocrisy and double standards
applied towards the Jew of the Nations are the dominant ideology.
While most, if not all, factions in Iran champion the twin causes of the
creation of the Arabs' 22nd state/destruction of Israel, events in Iran itself,
of late, are indeed revealing.
At least three major revolts are going on in Iran right now as this article is
being written.
Iranian agents have assassinated Kurdish and Balochi leaders in attempts to
squash any ideas of independence among these peoples. Additionally, in the
oil-rich, Arab-dominated, southwestern province of Khuzestan, Iran has recently
been violently suppressing renewed Arab hopes here as well. Arabs call that area
Arabistan...Get the picture?
Given all of this, my thoughts turned to an encounter I was involved in quite
some time ago. I'll share this soon, but first, please allow me to set the
I guess it was my own fault.
My two elder daughters brought home a momma cat and two small kittens that they
found late at night several months ago wandering on the road. Another kitten was
spotted not far away which lost out in its chance meeting with a car. Who could
say no to them?
The problem was that we already had three established cats. While we've had
situations related to this involving our original two females, it was Binx, the
young male, who (even though neutered) has really proven to be a pistol
regarding the newcomers. And I have a suspicion that he began by first taking it
out on me.
I kept a box in my bedroom closet with some important stuff in it. No problem
until after our feline additions entered onto the scene. Not long after their
arrival, Binx was caught in the act of leaving souvenirs, if you get my drift,
in my box.
Not having much of a choice, I now had to gingerly weed through decades of
materials I had saved. Funny what you'll find when you do this sort of thing.
Among the various correspondence I now reviewed was a letter from Jahandir, a
half Persian fellow graduate student, who was commenting on a doctoral research
paper I had written.
I liked Jahan, but we butted heads continuously. He's probably teaching at some
university now. His politics regarding the Arab-Israeli dispute (too often a
very important "litmus test" in Departments of Middle Eastern Studies
and the like...that's why Dr. Daniel Pipes' Campus Watch was created years
later) were far more acceptable to the powers that be than myself, so I'm sure
he wasn't denied a Ph.D. dissertation advisor the way I was. I made the mistake
of expecting that the same lenses would be used when scrutinizing Israel and the
rest of the neighborhood in which it lives.
Knowing of the reputation regarding the tenured chief honcho in terms of
anything having to do with Arab-Israeli politics, I had been assured by other
professors that there would be someone else to work with when the time arrived
to start my dissertation.
Imagine taking a graduate course on the Palestine Mandate and never hearing
anything about the Cairo Conference, the original 1920 borders of post-World War
I "Palestine," the separation of Transjordan from the latter in 1922,
and so forth. Or hearing Hitler's buddy, the Mufti of Jerusalem, being idealized
while Jewish nationalist leaders like Jabotinsky were painted as the real
fascists. Or constantly being fed material sympathetic to Arab nationalist
aspirations while ignoring the rights of everyone else in the region. The only
time, for example, that Kurds were ever mentioned was when said professor
(Carter Findley) made a mockery of their own aspirations upon reporting of his
travels throughout southeastern Turkey. And forget about an assumed climate of
academic freedom. Beware if you dared to I would later find out
the hard way. As is even more typical today, while Israel was constantly placed
under the high power lens of academic scrutiny, the far more real and gruesome
sins and stories of the Arab world were and are ignored. The Arab genocide of
Black Africans in the Sudan, slavery in the Arab World, atrocities against
Kurds, Berbers, Copts, kilab yahud "Jew dogs," and others as well were
going on back then as they are today...but students would never know any of this
coming out of the classroom.
That's where Jahandir again enters into the picture.
Constantly demonstrating on campus against the Zionist occupiers on the West
Bank, sitting across from me in class, and the like, we finally had a
long-brewing exchange. After Jahan had given me a critique of the work I had
done on a doctoral research paper, I fired back with a shot between the eyes
with something as timely and relevant to the discussion today as it was when we
did battle a quarter century ago.
Prior to the Iranian nationalist era of the Pahlavi shahs, Iran's oil-rich
Khuzestan province mentioned above had an Arab majority. In fact, it had largely
been ruled by the Arab Sheikh of Mohammarah. Later, Arab chieftains had
advocated the incorporation of "Arabistan" into Iraq. Undoubtedly,
such memories played a role in Iraq's ill-fated decision to invade Iranian
Khuzestan, sparking a long and costly war with Iran in the 1980s.
But, guess how the Iranians, so quick to criticize Israel (which has been trying
hard to arrive at a truly fair compromise with the Arabs over such things as the
West Bank), dealt with their own Arab (or Kurdish or Baluchi, etc.) problem?
Arabs were scattered, numerous Aryans were transferred from elsewhere into the
strategic province, and any manifestations of Arab nationalism were (and still
are) ruthlessly squashed by whatever means necessary...and with no United
Nations' condemnations, trials in Geneva, or whatever. The latter seem to be
saved almost exclusively for the Jews in their attempts to survive. Among other
measures, serious thought was given by Iran to outlawing Arabic as a spoken
tongue...shades of Iraqi and Syrian Arab and Turkish and Iranian past policies
towards the Kurds.
The point to all of this is, of course, the blatant hypocrisy and double
standards Jahan, the current Iranian rulers, and much of the rest of the world
typically display in all of these matters regarding Arab-Israeli politics.
And, by the way, I never did get a response from Jahan.
As an Iranian I regret to see my
countrymen have this irrational hatred of Israel. Iranians and the Jews have a
long history of friendship. This animosity begins only after the Islamization of
Iran. Sadly, many so called Iranian intellectuals continue their anti Israeli rhetoric
even though they claim to have left Islam and fight against the Islamic regime.
Frankly I do not understand this. I understand why as Muslims we were taught to
hate the Jews, but why we should be anti Israel after leaving Islam? For that I
have no answers. Is it that old habits die hard? Iran has been devastated,
vilified, despised, envied, humiliated by Arabs but as far as I know no Iranian
blood was ever shed by Jews. In the Iran-Iraq war the Palestinians took the side
of Saddam. Despite that not just the Mullahs but even the so called Iranian
intellectuals are decisively on the side of the Palestinians.
I have to admit that Iranians have become
very sick people. This sickness is eloquently described by Ardavan Bahrami.
Ali Sina
Spare a thought for us -- first
Inserted here: materials data:
~~~
Record 1
# MnGaSCl2

A relaxed MnGaSCl2 crystal (PBEsol, Alexandria).

Geometry as extended XYZ:
```
5
Lattice="-3.567 3.046 -0.348 -1.723 -1.550 4.093 2.576 3.283 2.327" Properties=species:S:1:pos:R:3 pbc="T T T"
Cl -1.783 1.523 -0.174
Cl -0.861 -0.775 2.046
S 1.288 1.641 1.164
Ga 0.000 0.000 0.000
Mn -1.357 2.389 3.036
```

Values from the calculation:
Formation energy without anion corrections = -0.06 eV per atom
Crystal system = tetragonal



Record 2
# PrMg2Ni9

A relaxed PrMg2Ni9 crystal (PBEsol, Alexandria).

Geometry as extended XYZ:
```
12
Lattice="-4.448 -1.767 0.526 -2.022 -2.530 -3.563 0.793 -7.974 1.958" Properties=species:S:1:pos:R:3 pbc="T T T"
Ni -2.473 -3.816 -0.755
Ni -3.491 -5.090 -2.550
Pr 0.000 0.000 0.000
Ni -1.365 -9.403 0.945
Ni -4.312 -2.867 -2.024
Mg -0.486 -5.138 0.670
Ni -2.186 -7.181 1.471
Ni -0.964 -7.565 -0.588
Ni -3.204 -8.455 -0.324
Ni -4.713 -4.706 -0.491
Ni -2.839 -6.135 -0.539
Mg -5.191 -7.133 -1.749
```

Values from the calculation:
Crystal system = trigonal



Record 3
# MnSbRu2

A relaxed MnSbRu2 crystal (PBEsol, Alexandria).

Geometry as extended XYZ:
```
4
Lattice="3.828 0.000 0.000 0.000 3.828 0.000 -1.914 -1.914 3.937" Properties=species:S:1:pos:R:3 pbc="T T T"
Ru 1.914 0.000 1.969
Ru 0.000 0.000 0.000
Mn 0.000 1.914 1.969
Sb 1.914 1.914 0.000
```

Values from the calculation:
Formation energy without anion corrections = 0.13 eV per atom
Crystal system = tetragonal



Record 4
# Tl2TcMo

A relaxed Tl2TcMo crystal (PBEsol, Alexandria).

Geometry as extended XYZ:
```
4
Lattice="2.966 -0.023 0.000 -1.291 2.670 0.000 0.000 0.000 9.342" Properties=species:S:1:pos:R:3 pbc="T T T"
Tl 0.000 0.000 7.049
Tl 0.000 0.000 2.293
Mo 0.837 1.324 4.671
Tc 0.837 1.324 0.000
```

Values from the calculation:
ΔE to the lowest computed polymorph = 4 meV/atom
Crystal system = orthorhombic



Record 5
# MgAuO2

A relaxed MgAuO2 crystal (PBEsol, Alexandria).

Geometry as extended XYZ:
```
8
Lattice="-0.321 -5.080 0.256 1.169 2.238 -4.862 4.789 -0.388 -1.698" Properties=species:S:1:pos:R:3 pbc="T T T"
O 5.014 0.505 -5.090
Mg 1.701 -0.248 -2.791
Au 0.000 0.000 0.000
O 0.958 -1.409 -1.398
Au 3.935 -2.982 -3.513
Mg 2.234 -2.734 -0.721
O 2.484 -1.443 -4.133
O 2.817 -4.113 -1.986
```

Values from the calculation:
Formation energy without anion corrections = -0.95 eV per atom
Crystal system = tetragonal



Record 6
# BaAs2Ru

A relaxed BaAs2Ru crystal (PBEsol, Alexandria).

Geometry as extended XYZ:
```
4
Lattice="4.296 0.000 0.000 0.000 4.296 0.000 0.000 0.000 4.553" Properties=species:S:1:pos:R:3 pbc="T T T"
As 2.148 0.000 0.000
As 0.000 2.148 0.000
Ru 0.000 0.000 2.277
Ba 2.148 2.148 2.277
```

Values from the calculation:
Crystal system = tetragonal



Record 7
# SrH3Br

A relaxed SrH3Br crystal (PBEsol, Alexandria).

Geometry as extended XYZ:
```
5
Lattice="-0.970 0.502 4.231 4.070 -1.172 1.072 1.258 4.179 -0.207" Properties=species:S:1:pos:R:3 pbc="T T T"
H -0.485 0.251 2.115
H 2.035 -0.586 0.536
Sr 0.000 0.000 0.000
~~~
Ebadi's wasted opportunity?
By Ardavan Bahrami
December 15, 2003
The Iranian
A few days ago I received an email from a friend whom I have
never met in person but have been chatting and exchanging views with on Iranian
current affairs. The email contained a note from an Iranian gentleman/lady
who had commented on Shirin Ebadi's Nobel Peace prize speech.
The note was most refreshing and above all extremely courageous.
Consequently, my journalistic conscience told me that such a fresh viewpoint
should not be ignored. As I do not know this person nor does my friend, I
have taken the liberty to use the note and expand it further, hoping many others
could enjoy the comments.
To make it easier I shall call this person Hope! Hope's
note starts by saying,
"Shirin Ebadi's Nobel Peace Prize acceptance ceremony was
a huge opportunity missed for all the Iranians who have suffered human rights
abuses in the last 24 years of the Islamic dictatorship in Iran. The reason
for this is non-other than what seems to be a genetic disease seen in a large
number of older generation Iranians who forget the plight of their own people
but prefer to take up the cause of others."
This is most distressing. In the past years and
particularly in recent events I have witnessed many Iranians who by large are
indifferent and not involved in political issues have suddenly shown concerns on
US war against terrorism by taking actions against the American administration's
policies or even have had the audacity of joining groups or demonstrations in
support of Palestinians!
Hope continues,
"1400 years ago a dispute broke up between two Arabs over
a girl by the name of Orayneb. One Arab was the ruling Khalif and the other
was the grandson of the Arab prophet. The two sides met each other in Karbala
and in the usual Arab custom, killed as many of each other as they could,
including the women and the children. Now most of the Arab world has forgotten
the incident but many Iranians still mourn the event by beating themselves and
cutting their foreheads open with daggers. Yet there is no such ceremony for
any of our own heroes throughout 2500 years of history, which has produced
many heroic figures. We have no national days to honour them; we have no
ceremonies to commemorate them or to teach posterity about the values of
putting Iran first and foremost. To give an analogy to a non-Iranian it is as
if the Jewish people forgot the victims of holocaust and their own heroes and
instead mourned the death of 72 German generals and soldiers at some
insignificant battle. Laughable wouldn't you say?"
At this point in time when our students have been most
courageous in their fight for democracy and secularism, one would have hoped
that an internationally recognized lady such as Shirin Ebadi would have taken
this unique opportunity and when the world media is focused on her speech to
express her concerns for the lack of freedom, mass executions and the daily
abuses of human right in our own country rather than broadcasting Islamic
Republic's foreign policies regarding America's war against terror and
Palestinians! Hope's views on Ebadi's decision to forget her very own
people whom she owes her Nobel Peace prize to; is extremely disheartening.
"And so it was in the same tradition that Shirin Ebadi,
forgot about the plight of our own people, the massacre of political prisoners
in September 1988, the virgin girls who were raped before facing Islamic
execution squads to prevent them from entering heaven, the imprisoned students
and activists, the forgotten war veterans who gave all they had to defend the
Attached: records of crystals >
____________
No. 1
Computed, not measured: an optimized crystal structure of ZrCd2PbO6 at the GGA-PBE level of DFT.

abc: 5.945 5.945 5.945
angles: 57.29 57.29 57.29
Fractional coordinates of all 10 atoms:
Zr: 0.000 0.000 0.000
Cd: 0.275 0.275 0.275
Cd: 0.778 0.778 0.778
Pb: 0.499 0.499 0.499
O: 0.121 0.725 0.358
O: 0.211 0.630 0.869
O: 0.358 0.121 0.725
O: 0.630 0.869 0.211
O: 0.725 0.358 0.121
O: 0.869 0.211 0.630

Output
**Uncorrected energy**: -6.0345 eV per atom
**Total magnetization**: 0.00 Bohr magnetons per cell



No. 2
Computed, not measured: an optimized crystal structure of CdPdO2 at the GGA-PBE level of DFT.

abc: 4.505 4.505 11.987
angles: 90.00 90.00 90.00
Fractional coordinates of all 16 atoms:
Cd: 0.000 0.000 0.000
Cd: 0.000 0.500 0.250
Cd: 0.500 0.000 0.750
Cd: 0.500 0.500 0.500
Pd: 0.000 0.000 0.500
Pd: 0.000 0.500 0.750
Pd: 0.500 0.000 0.250
Pd: 0.500 0.500 0.000
O: 0.215 0.250 0.625
O: 0.250 0.715 0.875
O: 0.250 0.785 0.375
O: 0.285 0.250 0.125
O: 0.715 0.750 0.125
O: 0.750 0.215 0.375
O: 0.750 0.285 0.875
O: 0.785 0.750 0.625

Output
**Uncorrected energy**: -4.3296 eV per atom
**Total magnetization**: 0.00 Bohr magnetons per cell



No. 3
Computed, not measured: an optimized crystal structure of Cd3PdO at the GGA-PBE level of DFT.

abc: 5.139 5.139 5.139
angles: 90.00 90.00 90.00
Fractional coordinates of all 5 atoms:
Cd: 0.000 0.000 0.500
Cd: 0.000 0.500 0.000
Cd: 0.500 0.000 0.000
Pd: 0.000 0.000 0.000
O: 0.500 0.500 0.500

Output
**Excess energy over the best structure of this formula in the dataset**: 311 kJ/mol of formula units
**Uncorrected energy**: -2.1382 eV per atom
**Total magnetization**: 0.00 Bohr magnetons per cell



No. 4
Computed, not measured: an optimized crystal structure of Cd3PdO at the GGA-PBE level of DFT.

abc: 4.540 4.540 4.540
angles: 90.00 90.00 90.00
Fractional coordinates of all 5 atoms:
Cd: 0.000 0.000 0.500
Cd: 0.000 0.500 0.000
Cd: 0.500 0.000 0.000
Pd: 0.500 0.500 0.500
O: 0.000 0.000 0.000

Output
**Excess energy over the best structure of this formula in the dataset**: 0 kJ/mol of formula units
**Uncorrected energy**: -2.7831 eV per atom
**Total magnetization**: 0.00 Bohr magnetons per cell



No. 5
Computed, not measured: an optimized crystal structure of CdPdO at the GGA-PBE level of DFT.

abc: 3.195 3.195 9.184
angles: 90.00 90.00 90.00
Fractional coordinates of all 6 atoms:
Cd: 0.000 0.000 0.000
Cd: 0.500 0.500 0.500
Pd: 0.000 0.000 0.306
Pd: 0.500 0.500 0.806
O: 0.000 0.000 0.562
O: 0.500 0.500 0.062

Output
**Excess energy over the best structure of this formula in the dataset**: 87 kJ/mol of formula units
**Uncorrected energy**: -3.8389 eV per atom
**Total magnetization**: 0.00 Bohr magnetons per cell



No. 6
Computed, not measured: an optimized crystal structure of CdPdO2 at the GGA-PBE level of DFT.

abc: 3.227 3.227 19.098
angles: 90.00 90.00 120.00
Fractional coordinates of all 12 atoms:
Cd: 0.000 0.000 0.000
Cd: 0.333 0.667 0.667
Cd: 0.667 0.333 0.333
Pd: 0.000 0.000 0.500
____________
motherland, the poverty of Iran's street children, the youth who have been
publicly flogged, and instead what did she talk about? The Palestinians, and
those incarcerated in Guantanamo bay!
As if there aren't enough people already who are signed up to
their cause.
The older generation who got us in this mess with their extra
strong revolutionary zeal are once again keeping us trapped in this Islamic
dictatorship by putting our own people and our own future at the end of the
Perhaps one day they will learn that charity begins at home.
Let's free our own people first then worry about the terror suspects
incarcerated at Guantanamo. Or as Iranians continuously chant in the street
demos 'Let Palestine be, spare a thought for us first'."
Here I would like to address Mrs. Ebadi and tell her that as a
Nobel laureate your duty is towards your own nation, which is going through the
darkest period in her long history. The Islamic regime has enough
resources to waste on fighting for Palestinian causes, building schools and
hospitals for the fanatics in Lebanon or Bosnia, or for that matter protecting
every undemocratic ideology. Today you can be the loudspeaker for all
those Iranian women and men, young girls and boys who have lost their lives in
Islamic prisons or are still suffering daily tortures.
It is an honour to have an Iranian as the winner of such
respected prize, but if you today decide for whatever reason to side with this
regime reformist or conservative, your will have no respect in future Iran among
your very own compatriots. Please do not waste the opportunity!